I called my dad to wish him a happy birthday this morning, and do you know what he said to me? He said, "Hey, Aimee, it's been a while since you posted on your blog!"
"Yeah, I know, I've been busy."
"I keep checking it and there's NOTHING NEW!"
And I countered, "But, what about Instagram?! It's my new favorite diversion. I post every day! You can check me out there!"
And he brought it home with, "Hey, I know! - for my birthday, you can publish a new post on your blog!"
"AH! You got me there, Dad."
Now you know how much I love my dad! So here you go! A fresh new post from Stewartopia, complete with Lizzie's poetry, an Eli-ism, Ivy's wordies, and maybe an updated picture of our Baby Monster, Oliver
Okay, so first up is an "Ivy's Wordies" from TODAY:
We were looking at her papers after school today, and she was showing me her calendar. Ivy said:
"The first day of school was on the EIGHTH. Library is on the TWENTY-FOURTH. And Computer Lab is on the TWENTY-TWOOTH."
It makes a lot of sense when you think about it...
Ivy also wrote me a birthday card that said, "Dear Mommy, Happy Birthday. You make my heart feel good. Love Ivy"
Eli-ism from this summer:
Adam received a phone call at work from Eli.
"Hi Dad. I just have a quick question. I'm trying to make high voltage electricity and I need your help..."
Lizzie's Poetry Corner:
At Sunset, when the mountains hide
against a bright orange sun, beside
The Great Blue Sky of old are clouds,
Clouds of puff, Clouds of wisp,
Its color to me was loud.
Against the Great Blue Sky of old,
The clouds of puff, clouds foretold,
The sun was sinking to the sky,
Lighting clouds to make them cry:
"O see me now, thou people low -
See me soar above the sky!"
Just their cry does make me wonder why.
For the bright orange sun sinking to the sky
_Here the article breaks off for data records_
~~~
# C34H56N9NiP

C34H56N9NiP as an isolated structure (wB97M-V/def2-TZVPD, the OMol25 dataset).

Geometry as XYZ:
```
101
C34H56N9NiP wB97M-V/def2-TZVPD
Ni 0.0832 1.0738 0.1163
N 0.2906 0.7238 2.2049
C 0.0080 1.6735 3.2583
C -1.0340 2.5724 3.1107
C -1.3245 3.4693 4.1282
C -0.5542 3.4903 5.2801
C 0.5121 2.6114 5.4118
C 0.7886 1.6968 4.4063
H 1.2567 0.4111 2.2357
H -0.2726 -0.1117 2.3375
H -1.5658 2.6160 2.1730
H -2.1246 4.1843 3.9904
H -0.7666 4.2050 6.0638
H 1.1286 2.6334 6.3006
H 1.6118 1.0004 4.5126
N 1.4706 -0.0656 -0.3835
P 2.3587 -0.2946 -1.6096
N 1.9203 -1.6390 -2.5083
C 2.7640 -2.0977 -3.6085
C 1.9956 -3.0835 -4.4771
C 1.6261 -4.3446 -3.6816
C 1.4398 -4.0158 -2.1936
C 0.9305 -2.5914 -2.0194
N 2.4504 0.8462 -2.8431
C 3.0754 2.1360 -2.5391
C 3.7055 2.7075 -3.8056
C 2.7749 2.4998 -5.0171
C 1.3462 2.2475 -4.5505
C 1.2723 0.9740 -3.7083
N 3.9744 -0.4489 -1.1773
C 4.3284 -0.3804 0.2436
C 5.6812 -1.0386 0.4692
C 6.7989 -0.2817 -0.2633
C 6.2521 0.4162 -1.5152
C 5.1004 -0.3817 -2.1114
H 3.6817 -2.5769 -3.2386
H 3.0757 -1.2336 -4.1998
H 2.5868 -3.3408 -5.3577
H 1.0917 -2.5867 -4.8395
H 2.4015 -5.1043 -3.8002
H 0.7066 -4.7750 -4.0849
H 2.3932 -4.0998 -1.6653
H 0.7538 -4.7230 -1.7232
H 0.7426 -2.3626 -0.9708
H -0.0209 -2.4809 -2.5609
H 3.8270 1.9911 -1.7627
H 2.3405 2.8302 -2.1240
H 4.6664 2.2205 -3.9880
H 3.9124 3.7700 -3.6561
H 3.1110 1.6424 -5.6066
H 2.8097 3.3640 -5.6821
H 0.6716 2.1409 -5.4028
H 0.9893 3.1055 -3.9746
H 1.2252 0.1004 -4.3646
H 0.3430 0.9781 -3.1178
H 3.5499 -0.8784 0.8173
H 4.3575 0.6613 0.5958
H 5.6227 -2.0698 0.1112
H 5.8887 -1.0890 1.5397
H 7.5946 -0.9758 -0.5430
H 7.2515 0.4559 0.4031
H 7.0382 0.5387 -2.2630
H 5.8984 1.4201 -1.2668
H 5.4651 -1.3872 -2.3623
H 4.7579 0.0677 -3.0431
C 0.2026 3.1229 -0.2623
C -0.5504 4.2707 0.2947
C -1.7220 4.7823 -0.2786
C -2.4365 5.8194 0.3063
C -1.9958 6.4042 1.4859
C -0.8133 5.9417 2.0506
C -0.1086 4.9037 1.4649
H 1.2699 3.2248 -0.0377
H 0.1503 3.1011 -1.3612
H -2.0707 4.3805 -1.2213
H -3.3376 6.1810 -0.1746
H -2.5474 7.2170 1.9396
H -0.4366 6.3907 2.9622
H 0.8033 4.5495 1.9337
C -2.5878 -0.1751 0.9883
N -1.9403 0.4755 -0.1799
C -2.7963 1.6099 -0.6058
N -4.1515 1.1840 -0.9200
C -4.7226 0.5434 0.2649
N -3.9386 -0.6214 0.6933
C -3.8781 -1.5685 -0.4238
N -3.2815 -0.9716 -1.6187
C -1.9394 -0.5219 -1.2842
C -4.0849 0.1935 -1.9954
H -2.6119 0.5356 1.8122
H -1.9805 -1.0400 1.2713
H -2.3328 2.0527 -1.4866
H -2.8052 2.3570 0.1848
H -5.7385 0.2161 0.0378
H -4.7597 1.2685 1.0799
H -4.8906 -1.8994 -0.6602
H -3.2850 -2.4343 -0.1226
H -1.4666 -0.0622 -2.1541
H -1.3273 -1.3668 -0.9705
H -5.0959 -0.1376 -2.2386
H -3.6449 0.6589 -2.8794
```

multiplicity = 3
⟨S²⟩ = 2.01
LUMO (alpha / beta) = 0.5 / 0.5 eV
E_HOMO (alpha / beta) = -6.581 / -7.059 eV

***

# C5H11NO

A 2-piece molecular cluster, C5H11NO overall in a non-equilibrium geometry (wB97M-V/def2-TZVPD, the OMol25 dataset).

Geometry as XYZ:
```
18
C5H11NO wB97M-V/def2-TZVPD
C 2.4236 0.5342 0.2340
N 1.4456 -0.0822 1.0916
C 0.1579 -0.4028 0.8102
~~~
Does turn light upon the sky up high
Unrelated to this piece: data records
____________
1.
{
  "formula": "C24H24FN5O2S",
  "method": "ωB97M-V/def2-TZVPD",
  "spin_multiplicity": 1,
  "gap_ev": 7.8,
  "lumo_energy_ev": 0.44,
  "energy_ev": -50353.1896,
  "de_lowest_kcal_mol": 528.1,
  "charge": 0,
  "species": ["C", "H", "O", "C", "C", "C", "C", "C", "C", "H", "H", "N", "C", "N", "N", "C", "C", "C", "C", "C", "C", "N", "C", "H", "H", "H", "H", "H", "H", "H", "H", "S", "C", "C", "O", "N", "H", "C", "C", "C", "C", "C", "C", "C", "H", "H", "F", "H", "H", "H", "H", "H", "H", "H", "H", "H", "H"],
  "coordinates": [[-5.49151, -1.49212, 2.25315], [-4.93947, -2.48780, 2.31802], [-5.09993, -0.89851, 0.85678], [-3.90967, -0.81485, 0.50774], [-2.84296, -1.20490, 1.20391], [-1.64281, -0.87181, 0.94563], [-1.48312, -0.42111, -0.22124], [-2.50385, -0.02405, -1.33948], [-3.80974, -0.26431, -0.85236], [-4.57714, -0.14979, -1.38986], [-2.38112, 0.53909, -2.19398], [-0.19206, 0.04401, -0.96263], [0.59050, -0.84600, -2.00906], [1.77904, -0.06941, -2.01074], [1.89586, 0.79104, -1.25657], [0.74833, 0.83360, -0.28279], [0.55449, 1.70744, 0.69745], [-0.32480, 2.90722, 0.09300], [-1.54259, 3.26725, -0.04941], [-1.93186, 4.33443, -0.66917], [-0.73913, 4.72092, -1.34569], [0.16625, 4.00998, -0.62014], [1.68650, 4.16827, -0.97171], [1.77860, 4.84243, -1.63958], [2.21359, 4.55846, -0.36974], [2.20351, 3.12182, -1.35197], [-0.44912, 5.36971, -1.89624], [-2.82395, 4.88201, -1.02379], [-2.45124, 2.53096, 0.65004], [1.49192, 2.21744, 1.11189], [-0.04941, 1.52505, 1.39801], [-0.14070, -1.94226, -3.03519], [-0.54234, -3.10744, -1.61694], [0.44712, -3.44004, -0.56174], [0.09962, -3.53231, 0.62014], [1.78518, -3.12179, -0.92772], [1.97311, -3.02762, -2.08352], [2.85436, -3.37052, 0.23363], [3.19354, -1.97488, 0.50165], [4.04045, -1.10664, -0.06824], [4.51952, -0.03463, 0.44415], [3.62110, 0.59437, 1.62567], [2.71531, -0.27733, 2.08202], [2.49193, -1.65017, 1.61745], [1.69230, -2.05584, 2.01183], [2.45976, 0.10972, 2.89867], [4.09995, 1.66486, 1.87011], [5.29130, 0.52001, -0.17969], [4.69632, -1.52677, -1.13552], [2.40784, -3.96508, 0.84382], [3.72964, -3.79675, -0.59620], [-1.50590, -2.83498, -1.24132], [-0.49824, -4.02433, -2.28151], [-0.67081, -1.08828, 1.62020], [-2.87648, -1.48444, 2.46997], [-5.15718, -0.71267, 3.16126], [-6.64980, -1.64065, 2.14749]],
____________
Lighting up clouds of fold
A bright pink tale against
The Great Blue Sky of old.
My kids have been having lots of fun lately with the computer camera and video. Here's the Fearsome Foursome:

And recently, Lizzie was inspired to make videos for Oliver on our computer. He loves to watch them. Here's an example:
Okay, nevermind, I forgot how videos suck the life out of you when you try to post them on blogger. Ugh. So a cute picture of the kids MAKING a video will have to suffice.
And an update on Adam: He hiked 75 miles in the Uintahs with J-MO this summer over four days. He lost 9 pounds and grew a beard. But he shaved it and I'm working on getting those 9 pounds back on him.
And we have been Choir Crazy the last three weeks - whoa! We opened our season yesterday - biggest day of the year for us! It was exhilarating.
Well, that's all for now. Love to all. Especially Dad: Happy Birthday! You are as youthful as ever! One of my highlights of our trip to Utah this summer was watching you play Capture the Flag at Eli's birthday party. You'll never be old! Love you tons!